About ayahuasca

What is ayahuasca?

Ayahuasca, also known as camarampi, yage, daime, caapi, siño, is a spirit plant medicine that has been used for thousands of years to cure illnesses and to explore the self by a myriad of different indigenous tribes in and around the Amazon basin. It is known as a master medicine because it cleanses on a physical, mental and spiritual level. That means it can help cure diseases ranging from an infected leg, to depression, alcoholism, cancers to witchcraft and spiritual imbalance. With the increasing stressors of modern-day life combined with the at-times growing artificial crevice between mankind and nature leading us to lean more toward the values of the material domain, it is not an odd thing that Ayahuasca is being more sought after for its healing properties. It was even recently given the honor as a national treasure by the Peruvian government for its “extraordinary therapeutic value” and for its pivotal role in the country’s cultural traditions.

Ayahuasca truly embodies what is holistic medicine at its core: the connection between the body, spirit and the mind. Unbalance in one plane quickly gets manifested in another and illnesses take shape. The medicine is also known as “la purga” (the purge). Traditionally, and still to this day, it was and is partly used to rid the body of parasites. Therefore many people may feel the medicine “working” its way through the stomach, intestines and gut. Ayahuasca also facilitates the release of so-called energy blockages or tensions. It is possible that in ayahuasca, the cleanse will materialize in the somatic body through the process of tears, defacation, vomit or laughter.

# Calculated crystals that have nothing to do with the page
********
Entry 1:
The following is a PBE-GGA calculation of PaAlVRe after structural relaxation, from Alexandria via LeMat-Bulk.

Unit cell a=6.4816 b=6.4816 c=6.4816 alpha=90.00 beta=90.00 gamma=90.00
With the nearest neighbours (Å) after each atom.
Space group F-43m (No. 216)
Unique sites:
Pa 0.0000 0.0000 0.0000 [4 per cell]  4 Re 2.81, 4 V 2.81
Al 0.0000 0.0000 0.5000 [4 per cell]  4 Re 2.81, 4 V 2.81
V 0.2500 0.2500 0.7500 [4 per cell]  4 Pa 2.81, 4 Al 2.81
Re 0.2500 0.2500 0.2500 [4 per cell]  4 Pa 2.81, 4 Al 2.81

Computed properties:
- V: 17.02 Å³/atom
- Energy of formation: -112.8 meV/atom

***

Entry 2:
The following is a PBE-GGA calculation of TaAs2Ru after structural relaxation, from Alexandria via LeMat-Bulk.

Unit cell a=3.0799 b=4.3669 c=9.6567 alpha=90.00 beta=90.00 gamma=90.00
With the nearest neighbours (Å) after each atom.
Space group Imm2 (No. 44)
Unique sites:
Ta 0.0000 0.0000 0.0000 [2 per cell]  6 As 2.68-2.84
As 0.0000 0.0000 0.5270 [2 per cell]  2 Ru 2.50, 4 Ta 2.68
As 0.0000 0.5000 0.7476 [2 per cell]  4 Ru 2.68, 2 Ta 2.84
Ru 0.0000 0.5000 0.2305 [2 per cell]  6 As 2.50-2.68

Computed properties:
- Excess energy over the best structure of this formula in the dataset: 0.1168 eV per atom
- V: 16.24 Å³/atom
- Energy of formation: -94.3 meV/atom

***

Entry 3:
The following is a PBE-GGA calculation of Ca2TlSe after structural relaxation, from Alexandria via LeMat-Bulk.

Unit cell a=7.7680 b=7.7680 c=7.7680 alpha=90.00 beta=90.00 gamma=90.00
With the nearest neighbours (Å) after each atom.
Space group F-43m (No. 216)
Unique sites:
Ca 0.0000 0.0000 0.0000 [4 per cell]  4 Se 3.36, 4 Ca 3.36
Ca 0.2500 0.2500 0.2500 [4 per cell]  4 Tl 3.36, 4 Ca 3.36
Tl 0.0000 0.0000 0.5000 [4 per cell]  4 Ca 3.36, 4 Se 3.36
Se 0.2500 0.2500 0.7500 [4 per cell]  4 Tl 3.36, 4 Ca 3.36

Computed properties:
- Excess energy over the best structure of this formula in the dataset: 0.8066 eV per atom
- V: 29.30 Å³/atom
- Raw formation energy: -0.292 eV per atom

***

Entry 4:
The following is a PBE-GGA calculation of CsAuC2 after structural relaxation, from Alexandria via LeMat-Bulk.

Unit cell a=4.8676 b=4.8676 c=5.2432 alpha=90.00 beta=90.00 gamma=90.00
With the nearest neighbours (Å) after each atom.
Space group P4/mmm (No. 123)
Unique sites:
Cs 0.0000 0.0000 0.0000 [1 per cell]  8 C 3.50
Au 0.5000 0.5000 0.5000 [1 per cell]  2 C 2.00
C 0.5000 0.5000 0.1191 [2 per cell]  1 C 1.25

Computed properties:
- Excess energy over the best structure of this formula in the dataset: 0.0000 eV per atom
- V: 31.06 Å³/atom
- Energy of formation: 166.8 meV/atom

***

Entry 5:
The following is a PBE-GGA calculation of TaFeRe2 after structural relaxation, from Alexandria via LeMat-Bulk.

Unit cell a=3.1281 b=4.3945 c=8.7723 alpha=90.00 beta=90.00 gamma=90.00
With the nearest neighbours (Å) after each atom.
Space group Immm (No. 71)
Unique sites:
Ta 0.0000 0.0000 0.0000 [2 per cell]  4 Fe 2.70, 4 Re 2.71
Fe 0.0000 0.0000 0.5000 [2 per cell]  4 Re 2.68, 4 Ta 2.70
********

Our Medicine

Ayahuasca is a psychedelic medicine in the literal definition of the word “psychadelic”, meaning “manifesting of the mind”. If one is willing and accepting, this paradigm of healing and knowledge can open itself up and allow for quite transformative experiences. Because it is a medicine that is visionary and may induce changed sensory perception it is impossible to properly explain what the experience may be like, since it is an extremely personal journey and even changes one ceremony to another. It can be said that it helps you to enter the spiritual realm, gain a deeper understanding of yourself and the world around you. The medicine may bring about a changed sensory perception (visions, a drunken feeling), emotions or thoughts. Note that though you enter an altered state of consciousness, you generally do not lose consciousness.

Ayahuasca is not for everyone. It is serious and challenging work. Many describe it as being one of the most difficult things they’ve gone through, but at the same time one of the most rewarding. It is a journey that allows us to look into our darker sides, get a new perspective on our lives and illuminate memories or feelings that have been long suppressed. It can help reroute limiting behaviors like addictions and negative thought patterns as well as shed us of fears, traumas and social stigmas. To be able to get as much out of the experience as possible, it is crucial that the person come physically prepared (which is why we have the diet and our registration form in place) but also mentally with the discipline and respect needed as well as a genuine willingness to learn, grow and heal.

The Amazon rainforest is our pharmacy and the medicinal plants our doctors. Of these, ayahuasca is the most powerful one but there are many others we work with as well. For all medicines that we work with, we carefully collect the plants ourselves and prepare them in the traditional manner continuing our ancestors’ traditions. Our patients may at times have the opportunity to observe the process.

Some suggested further reading





Intelligence in Nature - Jeremy Narby

The Cosmic Serpent: DNA and the Origins of Knowledge - Jeremy Narby

More helpful resources

Read more about tobacco’s different uses, from removing parasites to toxins.

Read our recommendations on what to bring for your stay with us.

Read more about the Ashaninka lineage that we follow at Casa de Pawua.

Read our medical precautions to determine if a treatment using medicinal plants is a viable option for you.